-- begin --
Below is Sn7Os3 after structural relaxation, with properties calculated at the GGA-PBE level.

Electronic total energy   -6.16 eV/atom
ΔE_f   0.02 eV/atom

The structure in POSCAR format:
```
Sn7Os3
1.0
-4.7535 4.7535 4.7535
4.7535 -4.7535 4.7535
4.7535 4.7535 -4.7535
Sn Os
14 6
Direct
0.0000 0.0000 0.3220
0.0000 0.0000 0.6780
0.0000 0.3220 0.0000
0.0000 0.6780 0.0000
0.2500 0.5000 0.7500
0.2500 0.7500 0.5000
0.3220 0.0000 0.0000
0.3220 0.3220 0.3220
0.5000 0.2500 0.7500
0.5000 0.7500 0.2500
0.6780 0.0000 0.0000
0.6780 0.6780 0.6780
0.7500 0.2500 0.5000
0.7500 0.5000 0.2500
0.0000 0.3441 0.3441
0.0000 0.6559 0.6559
0.3441 0.0000 0.3441
0.3441 0.3441 0.0000
0.6559 0.0000 0.6559
0.6559 0.6559 0.0000
```


# La5Mn5O16

A relaxed La5Mn5O16 crystal (PBE+U, Materials Project).

```
data_La5Mn5O16
_symmetry_space_group_name_H-M 'P 1'
_symmetry_Int_Tables_number 1
_cell_length_a 7.867
_cell_length_b 9.500
_cell_length_c 14.740
_cell_angle_alpha 90.70
_cell_angle_beta 105.33
_cell_angle_gamma 113.43
loop_
_symmetry_equiv_pos_as_xyz
'x,y,z'
loop_
_atom_site_label
_atom_site_type_symbol
_atom_site_fract_x
_atom_site_fract_y
_atom_site_fract_z
La1 La 0.000 0.000 0.000
La2 La 0.002 0.509 0.505
La3 La 0.119 0.860 0.380
La4 La 0.136 0.386 0.874
La5 La 0.273 0.264 0.257
La6 La 0.384 0.118 0.631
La7 La 0.398 0.625 0.135
La8 La 0.500 0.994 0.997
La9 La 0.513 0.500 0.499
La10 La 0.638 0.380 0.876
La11 La 0.643 0.855 0.377
La12 La 0.753 0.276 0.259
La13 La 0.758 0.748 0.754
La14 La 0.880 0.630 0.135
La15 La 0.888 0.127 0.629
Mn1 Mn 0.070 0.189 0.441
Mn2 Mn 0.072 0.689 0.942
Mn3 Mn 0.198 0.062 0.816
Mn4 Mn 0.198 0.564 0.316
Mn5 Mn 0.321 0.444 0.689
Mn6 Mn 0.322 0.940 0.191
Mn7 Mn 0.441 0.311 0.063
Mn8 Mn 0.447 0.812 0.568
Mn9 Mn 0.569 0.689 0.940
Mn10 Mn 0.570 0.183 0.442
Mn11 Mn 0.692 0.060 0.816
Mn12 Mn 0.824 0.945 0.191
Mn13 Mn 0.825 0.440 0.692
Mn14 Mn 0.946 0.314 0.067
Mn15 Mn 0.955 0.815 0.571
O1 O 0.019 0.927 0.698
O2 O 0.051 0.427 0.665
O3 O 0.055 0.018 0.521
O4 O 0.079 0.926 0.216
O5 O 0.081 0.361 0.363
O6 O 0.116 0.461 0.184
O7 O 0.157 0.789 0.078
O8 O 0.166 0.899 0.902
O9 O 0.186 0.321 0.037
O10 O 0.205 0.813 0.579
O11 O 0.219 0.237 0.737
O12 O 0.234 0.337 0.556
O13 O 0.280 0.664 0.448
O14 O 0.315 0.199 0.419
O15 O 0.317 0.767 0.270
O16 O 0.331 0.109 0.109
O17 O 0.331 0.682 0.968
O18 O 0.364 0.213 0.931
O19 O 0.424 0.532 0.827
O20 O 0.436 0.549 0.337
O21 O 0.444 0.638 0.635
O22 O 0.448 0.086 0.798
O23 O 0.456 0.981 0.485
O24 O 0.482 0.095 0.305
O25 O 0.523 0.411 0.187
O26 O 0.554 0.517 0.021
O27 O 0.564 0.953 0.164
O28 O 0.578 0.430 0.711
O29 O 0.612 0.963 0.682
-- stop --

Retype only the last part of the block further up, starting with the line that has "La1 La".

La1 La 0.000 0.000 0.000
La2 La 0.002 0.509 0.505
La3 La 0.119 0.860 0.380
La4 La 0.136 0.386 0.874
La5 La 0.273 0.264 0.257
La6 La 0.384 0.118 0.631
La7 La 0.398 0.625 0.135
La8 La 0.500 0.994 0.997
La9 La 0.513 0.500 0.499
La10 La 0.638 0.380 0.876
La11 La 0.643 0.855 0.377
La12 La 0.753 0.276 0.259
La13 La 0.758 0.748 0.754
La14 La 0.880 0.630 0.135
La15 La 0.888 0.127 0.629
Mn1 Mn 0.070 0.189 0.441
Mn2 Mn 0.072 0.689 0.942
Mn3 Mn 0.198 0.062 0.816
Mn4 Mn 0.198 0.564 0.316
Mn5 Mn 0.321 0.444 0.689
Mn6 Mn 0.322 0.940 0.191
Mn7 Mn 0.441 0.311 0.063
Mn8 Mn 0.447 0.812 0.568
Mn9 Mn 0.569 0.689 0.940
Mn10 Mn 0.570 0.183 0.442
Mn11 Mn 0.692 0.060 0.816
Mn12 Mn 0.824 0.945 0.191
Mn13 Mn 0.825 0.440 0.692
Mn14 Mn 0.946 0.314 0.067
Mn15 Mn 0.955 0.815 0.571
O1 O 0.019 0.927 0.698
O2 O 0.051 0.427 0.665
O3 O 0.055 0.018 0.521
O4 O 0.079 0.926 0.216
O5 O 0.081 0.361 0.363
O6 O 0.116 0.461 0.184
O7 O 0.157 0.789 0.078
O8 O 0.166 0.899 0.902
O9 O 0.186 0.321 0.037
O10 O 0.205 0.813 0.579
O11 O 0.219 0.237 0.737
O12 O 0.234 0.337 0.556
O13 O 0.280 0.664 0.448
O14 O 0.315 0.199 0.419
O15 O 0.317 0.767 0.270
O16 O 0.331 0.109 0.109
O17 O 0.331 0.682 0.968
O18 O 0.364 0.213 0.931
O19 O 0.424 0.532 0.827
O20 O 0.436 0.549 0.337
O21 O 0.444 0.638 0.635
O22 O 0.448 0.086 0.798
O23 O 0.456 0.981 0.485
O24 O 0.482 0.095 0.305
O25 O 0.523 0.411 0.187
O26 O 0.554 0.517 0.021
O27 O 0.564 0.953 0.164
O28 O 0.578 0.430 0.711
O29 O 0.612 0.963 0.682